This post is part of the VET Gazette 3
Laurence Estival
Centre Inffo



• Unrelated to this page: calculated molecules:
~~~
{"formula": "C20H80O30", "method": "ωB97M-V/def2-TZVPD", "symbols": ["H", "O", "H", "H", "H", "H", "C", "C", "H", "H", "O", "H", "O", "H", "O", "H", "C", "H", "C", "H", "H", "H", "O", "C", "H", "O", "O", "H", "H", "H", "C", "O", "H", "O", "H", "O", "O", "H", "H", "C", "H", "H", "H", "H", "C", "O", "H", "H", "O", "C", "H", "H", "C", "H", "H", "C", "O", "C", "H", "H", "H", "H", "O", "C", "H", "H", "O", "H", "O", "H", "O", "C", "H", "H", "H", "H", "H", "H", "O", "H", "H", "H", "H", "H", "H", "H", "H", "H", "H", "H", "O", "H", "H", "H", "H", "H", "H", "H", "O", "H", "O", "H", "H", "H", "H", "C", "H", "H", "O", "H", "O", "O", "H", "H", "C", "C", "C", "H", "C", "H", "O", "C", "O", "H", "H", "H", "O", "H", "O", "O"], "positions_angstrom": [[-8.35000, 24.87600, 20.19800], [-11.24300, 27.22100, 15.90300], [-10.59800, 16.73100, 16.44500], [-13.49700, 21.97200, 19.42600], [-8.24700, 23.24900, 20.42300], [-10.58500, 29.39500, 12.22400], [-7.71500, 18.77600, 18.60500], [-10.98700, 28.17300, 13.66800], [-6.14200, 22.66200, 19.80800], [-13.25000, 24.39300, 18.87300], [-12.07500, 24.24200, 14.24500], [-9.35100, 25.42800, 14.64300], [-10.72200, 23.79600, 20.30400], [-8.52900, 26.54300, 13.43700], [-12.21900, 21.23700, 14.69200], [-12.12300, 26.74800, 15.87800], [-7.46700, 24.65800, 13.98700], [-5.24200, 19.45300, 21.05200], [-9.81200, 22.97500, 16.88900], [-6.98500, 24.57300, 13.02100], [-7.75900, 28.93800, 16.88700], [-7.50000, 19.73200, 19.12000], [-6.84600, 25.27600, 15.14600], [-10.03200, 17.64900, 16.02800], [-10.32100, 25.22800, 19.33700], [-9.84000, 21.07700, 19.65900], [-5.81400, 24.41300, 19.30200], [-9.13900, 24.83900, 11.78600], [-12.49800, 28.70100, 15.10200], [-12.36600, 23.61700, 13.54200], [-6.90800, 19.34000, 14.78500], [-9.54300, 24.94700, 12.66400], [-6.78400, 17.81100, 20.24500], [-5.51200, 17.72800, 18.74500], [-9.63900, 27.45600, 15.92300], [-9.45300, 17.32800, 14.78000], [-3.48900, 19.26400, 19.95000], [-5.18300, 25.08100, 17.45900], [-9.67500, 23.20000, 13.55200], [-7.37200, 27.07600, 17.85600], [-5.90700, 25.34200, 19.46900], [-4.06300, 21.73800, 19.35500], [-7.24200, 21.46600, 14.84900], [-7.33500, 26.08500, 15.37600], [-3.57900, 24.35400, 18.67000], [-7.67100, 27.12600, 19.25900], [-12.21800, 25.61800, 18.56800], [-6.87700, 18.53000, 15.42900], [-9.85700, 22.29100, 13.56600], [-11.44400, 28.39100, 15.02500], [-10.15400, 19.77700, 15.44500], [-10.50000, 21.76600, 19.57100], [-8.28000, 28.00200, 17.10200], [-10.98000, 29.24000, 15.40400], [-11.50300, 24.82500, 13.74600], [-4.41300, 20.12000, 20.67800], [-10.31600, 26.00200, 18.77500], [-9.89700, 24.06800, 21.37200], [-10.39200, 25.74600, 17.84300], [-9.75800, 22.38500, 15.95700], [-5.28000, 20.50800, 18.89800], [-12.59800, 20.75800, 13.97900], [-8.64800, 27.52900, 15.93200], [-8.47400, 24.13300, 20.98400], [-13.30600, 25.00100, 15.48800], [-11.98800, 19.97800, 17.18300], [-5.80000, 21.97500, 20.38100], [-11.29800, 23.98100, 16.28700], [-2.71400, 23.78600, 17.69300], [-8.27000, 20.70600, 15.99200], [-11.22400, 19.39500, 17.27100], [-7.27100, 20.64700, 15.51100], [-4.98100, 18.32200, 19.23600], [-12.64800, 22.18400, 16.05000], [-8.50600, 24.10500, 18.16500], [-3.45800, 23.91400, 19.70400], [-10.51700, 22.53600, 17.59800], [-8.98100, 18.16400, 14.50500], [-10.37800, 24.18900, 16.58200], [-10.34300, 25.00300, 21.74100], [-11.48200, 27.22700, 13.36300], [-9.12900, 17.64400, 16.54400], [-7.86600, 19.86300, 21.72000], [-7.29700, 21.15700, 21.09000], [-11.71100, 21.84100, 14.17300], [-12.43600, 20.90000, 19.77600], [-7.72500, 19.90400, 13.21600], [-9.13900, 21.95600, 13.07200], [-2.65600, 19.66500, 19.73700], [-5.20700, 23.23700, 17.76700], [-11.29200, 29.30000, 12.85800], [-13.54400, 25.49300, 16.82300], [-12.79100, 22.22200, 17.56200], [-8.62600, 26.89100, 19.40500], [-9.14300, 28.35600, 17.66100], [-7.74500, 23.71300, 14.31700], [-6.79500, 21.39900, 17.19600], [-9.46500, 21.10400, 20.52700], [-6.35700, 20.75900, 16.58900], [-11.54900, 23.54200, 20.68200], [-13.62500, 25.76500, 15.90900], [-9.63800, 19.21600, 18.57700], [-3.92400, 20.63500, 21.53700], [-1.97600, 24.41900, 17.64700], [-7.53400, 18.82800, 17.52900], [-8.46500, 23.36300, 17.46000], [-8.49700, 21.92700, 18.77400], [-7.54200, 23.85400, 22.67700], [-7.86600, 22.29400, 18.09000], [-11.61500, 18.83500, 15.30400], [-9.10800, 18.48300, 18.92300], [-7.89300, 19.23200, 13.86900], [-3.42000, 25.39800, 18.93000], [-7.48000, 26.01300, 17.61900], [-6.84400, 17.65900, 19.16500], [-4.91400, 21.15700, 19.69300], [-8.78000, 25.48800, 13.73300], [-7.67500, 23.70500, 16.73300], [-10.76800, 19.00700, 15.97800], [-6.30100, 27.40200, 17.73400], [-12.90400, 22.75400, 16.77900], [-5.01800, 24.22500, 18.15500], [-7.62600, 24.53300, 21.99600], [-5.89700, 19.36000, 14.27700], [-10.11300, 23.25400, 22.04400], [-7.24900, 16.64000, 19.11700], [-13.12800, 25.26300, 18.45100], [-9.88200, 28.06100, 13.63100], [-12.63500, 21.62100, 19.21400], [-8.01300, 20.80200, 21.64300]], "forces_ev_per_a": [[-0.0854, 0.4020, 0.0546], [-0.8958, 1.1873, -1.2943], [0.3014, 1.7520, -0.8801], [-0.4987, -0.2269, 0.3452], [0.6350, -1.1075, 0.2763], [0.0976, 0.0916, -0.2329], [-1.3882, -0.5801, 0.5111], [1.0138, -1.0258, -1.7182], [-0.0895, 0.6558, -0.2324], [0.6483, 0.8086, -0.4183], [-0.4719, -1.1741, -1.0799], [-0.6197, 0.2122, 0.1574], [-0.3273, -0.7729, -2.9610], [0.0046, -0.9128, 0.8113], [-0.2927, 0.0606, 0.4472], [0.4892, -0.1130, 0.1864], [-1.8300, 3.1445, 1.0354], [0.8585, 0.6673, -0.3498], [0.3773, 0.0966, -0.2210], [1.2263, 0.3548, 0.1304], [0.5154, 0.3027, 0.4382], [0.4342, -0.2674, -0.5849], [0.5609, -0.3976, -1.3765], [-0.2738, -1.1401, 0.2081], [-0.2445, -0.7860, -0.2562], [-0.5125, -0.1243, -1.5026], [-1.0370, -0.5220, 0.0033], [0.3553, 0.4688, 0.8168], [0.0385, -0.4951, -0.5089], [0.0283, 0.6426, 0.8064], [1.8486, 3.0838, 0.3151], [-1.2319, -0.8337, -0.2650], [-0.5153, 0.0263, 0.4974], [-0.5984, -1.5387, -2.1084], [0.9600, -0.6614, -0.1090], [-0.6298, 0.8713, -1.7519], [-1.3134, -0.5224, 0.9492], [-0.1001, -1
~~~

In order to bring vocational training into line with new technological and educational challenges,

more and more vocational training centres are embarking on action research programmes,

involving teachers and companies. An initiative, that is called whose results have meanwhile a national audience

Who would have imagined in 2012 that the potential of a private initiative from a handful of vocational training centres could be so large? 

They were working on the use of social media in education, but this experience quickly found an echo in other institutions. Over the years, it has become a reference on how to develop training courses in line with the new expectations of the labour market and the development of technology. All this is done in a participatory and cooperative way. The results of this work are widely shared, so that each vocational training centre can draw inspiration from what has already been done by others.  An impression of the dynamic currently at work: in 2021, 60 institutions had already joined the movement. “In two years’ time, we will even have passed the 100 mark,” says Jorick Scheerens, who is one of the key players in the foundation launched in 2015 to encourage more and more

vocational training centres to commit themselves in this direction.

An initiative in the hands of the institutions

In concrete terms, this approach, called Practoraat (practiceship), involves a group of volunteer teachers (sometimes with the presence of pupils or students). Supervised by a “practor” a ‘leader’ with expertise in a given topic, they conduct research to find solutions for a certain problem with the obligation for these solutions, to be designed in such a way that it can be put into practice immediately”, continues the manager. We are available to help interested institutions to identify a subject or to find a practor, but the foundation does not have the role of making a choice for them. But once the subject has been determined, we have a committee in charge of ensuring the quality of the project, he adds. Often, these “leaders” are already present in the training centres. They are, for example, teachers who have developed special knowledge in a particular field. “We also find researchers from neighbouring universities, or professionals from the business world with whom the training centres have already forged strong links, Jorick Scheerens explained.

Between two parts of the article: records of molecules:
<<<
Density functional theory data (ωB97M-V with the def2-TZVPD basis set) for a molecular structure, C20H70AgBO35.

Geometry as XYZ:
```
127
Properties=species:S:1:pos:R:3:forces:R:3:mulliken_charge:R:1
H -8.097040 11.219222 -1.367971 -0.5 0.3 -1.1 -0.0540
H -6.324437 11.682263 3.629725 1.6 0.1 -1.0 0.4608
H -15.468409 10.655957 2.054013 0.0 -1.4 0.2 -0.4061
H -15.936753 9.424898 6.065493 0.6 -1.3 0.3 0.5435
C -14.491339 9.172888 4.286002 -0.3 -0.2 2.4 -0.7777
C -8.230311 12.221084 2.923873 0.6 0.2 -0.2 0.5007
O -6.637016 12.415625 -1.994824 0.9 0.2 -0.6 -0.6445
O -16.315224 10.506909 4.500264 -2.2 2.7 -1.6 -0.5639
H -11.954132 12.432334 -2.416817 1.5 -0.2 -0.6 0.2855
H -8.263839 11.203046 1.211635 0.6 2.0 1.1 0.2325
O -9.711287 11.071439 -3.335778 -0.5 -0.8 -1.3 -0.5205
O -13.488374 6.672780 2.147858 1.1 -0.5 -1.1 -0.6063
H -16.277338 10.290901 -0.794658 -0.1 0.1 0.4 0.3969
C -12.630340 13.160116 -2.048313 0.3 0.4 -1.3 0.6056
H -16.709842 8.484544 0.457501 -0.7 0.6 -0.2 0.4264
Ag -12.150713 7.718772 -1.974107 -0.2 0.1 -0.4 0.4149
O -11.386061 15.061045 3.585724 -2.4 -0.2 1.2 -0.5191
H -10.475589 6.390584 5.344049 -0.3 -0.8 0.4 0.2141
C -7.310082 11.356655 3.782504 -0.6 1.0 -0.1 -0.7539
O -16.700670 12.999033 2.790721 -1.1 -0.1 2.0 -0.6912
H -9.690263 12.124515 5.246256 0.7 0.0 -0.1 0.1979
H -9.280069 9.410099 -0.876072 -1.1 2.2 1.5 0.0683
C -7.594181 11.434861 -2.346316 -1.1 -0.4 2.3 -0.0152
O -13.987266 14.007343 3.119500 -1.1 -1.6 1.0 -0.5878
H -8.717213 12.863441 -3.570260 -0.3 0.7 0.3 0.2898
O -8.898327 9.553914 1.648827 0.5 0.1 -2.3 -0.7098
H -8.103966 13.287702 3.118738 0.0 -0.2 0.6 0.7203
O -12.049869 11.401571 3.380526 4.3 -2.6 -4.0 1.7886
H -12.905044 14.413495 -3.964216 -0.5 -1.0 0.4 0.3794
H -14.344391 14.295465 6.031071 0.1 -0.1 -0.7 -0.1695
O -13.840320 12.449462 -2.052991 -1.7 0.1 -0.3 -0.3951
H -14.208656 12.526461 -2.948141 0.0 -0.1 0.4 0.2754
H -11.416299 7.258194 2.074923 0.0 -0.5 -0.7 -0.1386
H -10.487221 8.656887 4.445972 0.3 -0.6 0.0 0.2735
O -11.444847 15.165293 -3.009425 1.4 -0.3 -1.3 -0.6074
H -8.452342 13.434867 0.167278 -0.3 -1.5 2.5 0.1935
H -14.712333 10.861978 -0.261601 -1.2 -0.4 1.2 -0.3698
H -16.555362 12.729568 1.909065 0.5 -0.2 -2.4 0.0863
H -14.199396 9.889003 3.497143 0.0 -0.6 0.3 0.5808
H -15.532208 14.967128 1.140667 -0.3 0.5 -0.2 0.5355
H -13.598112 13.335113 7.783567 -0.5 -0.1 -0.1 0.3391
O -14.750230 14.678969 0.649334 0.0 -0.4 -0.5 -0.8138
C -15.373629 9.962785 5.315370 0.2 -2.7 -1.1 -0.8050
O -11.862276 9.841825 6.577240 0.1 -0.4 -0.3 -0.6173
O -14.538780 13.125258 7.678542 0.2 0.1 0.4 -0.5726
O -13.595191 12.232439 1.917341 0.1 -2.2 -3.6 1.6629
C -11.029270 11.105075 0.238133 4.9 1.9 -3.3 0.2675
H -14.888793 10.690231 5.877508 1.2 1.6 0.4 -0.0783
C -11.784900 9.937797 0.518197 -0.1 -4.9 -3.8 -1.1270
O -10.691180 15.676349 -0.003349 -0.6 -0.1 1.1 -0.6397
H -15.531788 12.745712 -0.392626 -0.7 -0.1 0.5 0.3381
C -12.272418 7.106983 2.717238 -0.3 1.1 1.3 1.5615
>>>

As for the subjects, they fall into two main categories: one half is concerned with educational issues. For example, a project on media literacy which led to the creation of content on fake news, cyber news, cyber-bullying and digital identity. The other half of the projects relate to the evolution of jobs and skills by employers in sectors that have been heavily involved in transformations through the use of digital technology. Such as for example the Health and Care sector. (see box).

A model that could become a model for others

The conduct and organisation of these research-actions is also left to the institutions. Each institution defines its own schedule with an average duration of three years. Or sometimes for a period that is not defined, as a first project can lead to a second one to explore further on a particularly interesting result. There is no standard timetable either. The teams can work on days set aside for this purpose, during which teachers are released from classes, in order to enable them to have appointments with resource persons who feed the team’s thinking.

This flexibility is not unrelated to the success of the initiative, like its contribution, over the course of 10 years to a vast network of vocational training centres – including those that have not launched projects – where people can find inspiration for building their own “Practoraat’. The approach has already gained a following outside vocational education.  “We are currently working with academics to see how we can adapt it for use in primary and secondary education,” says Jorick Scheerens, with pride in his voice.

_These data records were left in the text by mistake_
<<<
# 1
The following is a quantum chemistry calculation of C23H48BrCaClF3N3O8PS2 as an isolated structure at a distorted geometry, from the OMol25 dataset.

## Properties
Total charge: +1
Orbital gap, Eh: 0.0492
E_tot, eV: -185572.91669
Highest occupied orbital energy, eV: -7.17

Each line ends with the Löwdin charge.
Geometry (Å):
C1 3.88 4.04 -0.17  0.056
C2 3.12 5.20 -0.47  -0.182
P1 1.93 6.51 -1.29  0.969
C3 0.08 6.16 -0.97  -0.343
C4 -0.51 4.80 -1.67  -0.718
C5 0.49 4.07 -2.74  -0.170
Br1 -1.17 3.57 -0.23  0.648
N1 2.39 6.70 -3.00  -0.209
C6 1.29 7.31 -3.85  -0.312
C7 1.27 8.98 -3.82  -0.451
C8 0.09 9.60 -2.87  -0.157
H1 4.81 3.30 -0.01  0.078
H2 2.24 7.77 -0.61  0.065
H3 -0.53 7.08 -1.40  0.096
H4 -0.18 6.13 0.19  0.097
H5 -1.47 5.14 -2.29  0.126
H6 0.00 3.01 -2.98  0.094
H7 1.57 3.84 -2.34  0.065
H8 0.54 4.63 -3.79  0.099
H9 3.15 7.44 -2.99  0.016
H10 0.22 6.87 -3.66  0.093
H11 1.56 7.03 -4.98  0.128
H12 2.33 9.44 -3.61  -0.228
H13 0.99 9.30 -4.94  0.078
H14 -0.35 10.54 -3.46  0.087
H15 -0.79 8.86 -2.65  0.039
H16 0.61 10.02 -1.89  0.061
O1 -0.28 8.77 -6.62  -0.063
H17 -0.62 9.21 -7.42  0.049
H18 -0.57 7.85 -6.72  0.042
Cl1 3.61 9.23 -4.46  -0.020
C9 2.99 1.50 3.20  -0.565
F1 4.06 2.18 3.71  0.152
F2 2.36 0.94 4.29  -0.139
F3 2.13 2.45 2.72  0.160
S1 3.48 0.23 1.92  0.480
O2 4.39 -0.70 2.60  -0.391
O3 4.13 0.99 0.85  -0.233
O4 2.22 -0.40 1.49  -0.271
Ca1 2.85 -0.76 4.21  1.736
C10 1.86 -3.27 2.09  -0.125
O5 1.17 -4.33 2.75  -0.194
C11 -0.20 -4.44 2.35  -0.190
C12 -0.43 -5.74 1.56  -0.208
N2 0.20 -5.66 0.23  -0.054
C13 0.24 -6.95 -0.47  -0.185
C14 1.08 -8.08 0.16  -0.206
O6 2.48 -7.82 0.16  -0.173
C15 2.94 -7.06 1.27  -0.105
H19 2.84 -3.16 2.56  0.075
H20 2.01 -3.51 1.04  0.093
H21 1.31 -2.33 2.19  0.052
H22 -0.55 -3.56 1.80  0.124
H23 -0.79 -4.50 3.28  0.110
H24 -1.50 -5.90 1.44  0.109
H25 -0.01 -6.56 2.14  0.100
H26 1.16 -5.33 0.34  0.051
H27 0.65 -6.74 -1.47  0.113
H28 -0.79 -7.30 -0.62  0.120
H29 0.94 -8.97 -0.46  0.123
H30 0.73 -8.36 1.16  0.109
H31 2.36 -7.24 2.17  0.087
H32 2.94 -5.99 1.01  0.057
H33 3.98 -7.34 1.47  0.089
C16 1.98 -3.99 -2.23  -0.158
O7 2.90 -4.68 -1.41  -0.142
H34 0.97 -4.24 -1.91  0.067
H35 2.14 -2.91 -2.13  0.075
H36 2.12 -4.29 -3.27  0.083
H37 3.80 -4.44 -1.71  0.093
C17 -4.73 3.70 0.45  -0.300
S2 -5.37 3.34 -1.20  0.792
O8 -5.53 4.65 -1.91  -0.557
C18 -7.01 2.82 -0.65  -0.271
H38 -3.71 4.09 0.35  -0.048
H39 -5.35 4.45 0.94  0.061
H40 -4.71 2.78 1.04  0.053
H41 -7.50 3.62 -0.09  0.059
H42 -6.92 1.93 -0.02  0.051
H43 -7.61 2.58 -1.53  0.053
N3 -2.66 -6.89 3.72  0.050
C19 -3.54 -7.71 3.10  -0.145
C20 -4.27 -8.68 3.75  -0.068
C21 -4.10 -8.84 5.12  -0.070
C22 -3.20 -8.01 5.79  -0.074
C23 -2.52 -7.05 5.06  -0.153
H44 -3.64 -7.55 2.03  0.101
H45 -4.96 -9.31 3.20  0.106
H46 -4.66 -9.59 5.67  0.110
H47 -3.05 -8.10 6.86  0.103
H48 -1.81 -6.38 5.53  0.096

=====

# 2
The following is a quantum chemistry calculation of a 2-piece molecular cluster, C23H48BrN3O8P2S overall at a distorted geometry, from the OMol25 dataset.
>>>
_The data records stop here_

